• What to do:
Repeat the lines further below from the one with "-9.0547" to the one with "-2.1166" word for word.

• File:
........
No. 1
Computed, not measured: a 24-piece molecular cluster, C28H30BCl69FN2O3 overall in a non-equilibrium geometry, with ωB97M-V/def2-TZVPD.

Summary:
**LUMO**: -3.24 eV
**Net charge**: +1
**E_HOMO**: -0.435 Ha
**Gap between HOMO and LUMO**: 8.61 eV
**Largest force on an atom**: 2.0 eV/Å

Cartesian coordinates (Å):
1 O -3.6080 -2.6197 1.0125
2 C -3.0530 -1.5650 1.0093
3 F -3.6554 -0.3937 1.1772
4 C -1.5170 -1.4626 0.8593
5 N -0.9826 -1.3796 2.2213
6 C -0.9518 -2.4372 3.1491
7 C -0.4143 -1.9099 4.2592
8 N -0.1417 -0.5721 4.0503
9 C -0.4966 -0.2949 2.7944
10 B -0.3538 1.1901 2.1682
11 O 0.9339 1.6657 2.0000
12 O -1.4350 1.9095 1.8189
13 H -1.2348 -0.5985 0.2509
14 H -1.1359 -2.3508 0.3350
15 H -1.3035 -3.4619 3.0033
16 H -0.2107 -2.4235 5.1911
17 H 0.2392 0.1117 4.6892
18 H 1.4770 0.9856 1.5775
19 H -1.1393 2.6407 1.2274
20 C 0.2733 2.6913 -1.7895
21 Cl -0.3264 3.7244 -0.4846
22 Cl -0.4641 1.0826 -1.7190
23 Cl -0.0291 3.4353 -3.3493
24 H 1.3439 2.5787 -1.6659
25 C -1.4792 -5.3251 0.4863
26 Cl -1.5425 -5.7269 2.1944
27 Cl 0.0088 -4.4264 0.1385
28 Cl -1.5723 -6.7829 -0.4779
29 H -2.3256 -4.6887 0.2529
30 C 1.2137 7.6251 -0.2631
31 Cl 1.2130 7.0025 1.3917
32 Cl 2.5657 8.7223 -0.5183
33 Cl 1.2696 6.2930 -1.4258
34 H 0.2950 8.1731 -0.4201
35 C -7.2360 -2.8289 0.6591
36 Cl -7.7287 -1.5974 1.8303
37 Cl -8.1571 -4.3129 0.9038
38 Cl -7.4308 -2.2390 -0.9957
39 H -6.1875 -3.0487 0.8189
40 C 3.8502 11.3597 -3.2161
41 Cl 4.2717 9.8108 -3.9471
42 Cl 4.5197 11.4707 -1.5863
43 Cl 4.4104 12.7090 -4.2095
44 H 2.7708 11.4168 -3.1480
45 C -5.3181 2.7753 0.4963
46 Cl -5.7911 4.0094 1.6629
47 Cl -6.2701 1.3048 0.7234
48 Cl -5.4911 3.3799 -1.1534
49 H -4.2751 2.5321 0.6616
50 C 1.8262 -8.1726 3.3328
51 Cl 0.5343 -8.1916 4.5340
52 Cl 1.5056 -6.9569 2.0932
53 Cl 3.3919 -7.8842 4.0996
54 H 1.8572 -9.1441 2.8513
55 C 0.2519 -12.1684 6.4272
56 Cl 0.7586 -13.7981 5.9734
57 Cl 1.4586 -10.9792 5.9296
58 Cl -1.3226 -11.7860 5.7258
59 H 0.1621 -12.1293 7.5056
60 C -0.1154 11.7426 0.3429
61 Cl -0.6239 10.1789 0.9848
62 Cl 0.9302 11.5607 -1.0756
63 Cl -1.5216 12.7295 -0.0490
64 H 0.4516 12.2508 1.1129
65 C 0.6196 -9.9588 -2.0057
66 Cl 0.8258 -10.7794 -0.4505
67 Cl -1.0901 -9.8267 -2.4314
68 Cl 1.3717 -8.3648 -1.9432
69 H 1.1171 -10.5420 -2.7712
70 C 6.9169 12.5027 -7.0246
71 Cl 8.3269 11.4724 -6.7614
72 Cl 7.3930 14.2011 -7.0974
73 Cl 6.0677 12.0281 -8.4966
74 H 6.2424 12.3736 -6.1877
75 C 5.6243 8.2150 -8.7224
76 Cl 4.4057 7.9843 -9.9756
77 Cl 4.8765 8.7585 -7.2195
78 Cl 6.5364 6.7225 -8.4589
79 H 6.3149 8.9812 -9.0547
80 C 2.0168 -13.1447 2.4946
81 Cl 2.9734 -11.6583 2.5962
82 Cl 0.2911 -12.7853 2.5859
83 Cl 2.3930 -14.0236 1.0130
84 H 2.2776 -13.7717 3.3389
85 C -10.6076 0.1462 -1.0420
86 Cl -11.9285 0.0839 0.1271
87 Cl -10.9313 1.3592 -2.2830
88 Cl -9.0739 0.4767 -0.2320
89 H -10.5350 -0.8216 -1.5240
90 C -2.4975 -13.5953 -2.2391
91 Cl -2.0990 -13.5617 -3.9596
92 Cl -2.4644 -15.2497 -1.6240
93 Cl -1.3901 -12.5640 -1.3278
94 H -3.5017 -13.2088 -2.1166
95 C 7.0004 -8.4845 5.2929
96 Cl 7.4481 -9.4913 6.6718
97 Cl 7.9436 -6.9920 5.2834
98 Cl 7.2150 -9.3706 3.7832
99 H 5.9538 -8.2239 5.3871
100 C -8.2259 7.6983 1.4391
101 Cl -7.8301 6.6918 2.8350
102 Cl -7.2930 9.1955 1.4674
103 Cl -7.9428 6.8157 -0.0625
104 H -9.2780 7.9513 1.4928
105 C 11.6363 13.4849 -6.3887
106 Cl 12.0696 11.9419 -7.1297
107 Cl 12.2747 13.5889 -4.7457
108 Cl 12.2161 14.8325 -7.3690
109 H 10.5552 13.5430 -6.3373
110 C 4.5528 3.5397 -9.7622
111 Cl 2.9987 3.5437 -8.9214
112 Cl 5.2406 1.9136 -9.7908
113 Cl 4.3775 4.1735 -11.3982
114 H 5.2319 4.1864 -9.2201
115 C 7.3515 7.1045 -3.3253
116 Cl 5.7978 7.0974 -2.4832
117 Cl 8.0322 5.4759 -3.3861
118 Cl 7.1728 7.7647 -4.9515
119 H 8.0346 7.7376 -2.7729
120 C -8.3421 -4.9971 4.5656
121 Cl -6.8375 -5.8901 4.3035
122 Cl -9.7398 -6.0370 4.2855
123 Cl -8.3854 -4.3205 6.1953
124 H -8.3792 -4.1788 3.8564
125 C -11.1465 5.8818 5.0936
126 Cl -11.6113 7.1171 6.2642
127 Cl -12.0920 4.4111 5.3296
128 Cl -11.3329 6.4837 3.4444
129 H -10.1016 5.6425 5.2495
........

• Here it is:
79 H 6.3149 8.9812 -9.0547
80 C 2.0168 -13.1447 2.4946
81 Cl 2.9734 -11.6583 2.5962
82 Cl 0.2911 -12.7853 2.5859
83 Cl 2.3930 -14.0236 1.0130
84 H 2.2776 -13.7717 3.3389
85 C -10.6076 0.1462 -1.0420
86 Cl -11.9285 0.0839 0.1271
87 Cl -10.9313 1.3592 -2.2830
88 Cl -9.0739 0.4767 -0.2320
89 H -10.5350 -0.8216 -1.5240
90 C -2.4975 -13.5953 -2.2391
91 Cl -2.0990 -13.5617 -3.9596
92 Cl -2.4644 -15.2497 -1.6240
93 Cl -1.3901 -12.5640 -1.3278
94 H -3.5017 -13.2088 -2.1166